Ethernet Transmitter Algorithm

Prerequisite – Ethernet and Ethernet Frame Format 

Ethernet Adapter or Network Interface Card (NIC) is hardware device/component, that enables you to send and receive data, to and from your computer. It will be connected to the network via wired or wireless connection. 

Let us assume we have host computer, which has Ethernet Adapter. The Ethernet cable (a cable that is useful in connecting computing devices, together directly) is connected to current Ethernet Adapter (NIC card), which is part of host computer, via transceiver, which acts as both transmitter and receiver.


We can plug in Ethernet cable to port of Ethernet Adapter (NIC card). But, so as to attach Ethernet cable to port of Ethernet Adapter (NIC card), we need RJ45 socket (8 pin – standard wired Ethernet over copper cable connector). 

Access Protocol for Ethernet :

  1. Algorithm is usually called Ethernet Media Access Control (MAC) and is implemented in hardware on Ethernet Adapter (NIC).
  2. Access method of Ethernet is CSMA/CD (Carrier-Sense Multiple Access with Collision Detection).
  3. Encoding method is Manchester Encoding technique for converting data bits into signals.

The reason why Manchester Encoding technique is employed – Ethernet cable is connected through port, to Ethernet Adapter. So, application layer data is given to transport layer and is forwarded to network layer and then it comes to data link layer (where NIC card is present now). 

So, frames that are created by host computer, need to be placed on Ethernet cable (on channel). When host computer, wants to place data/information on channel, we want to use some encoding technique. 

Encoding is vital to convert particular data/frames, created by host computer, into signals because Ethernet cable For example, copper cable carries data in form of electric signals) will only carry signals. 

-- These calculated molecules were left in the piece by mistake --
Below is a molecular structure, C39H50AlN2O8STe, with properties calculated with ωB97M-V with the def2-TZVPD basis set.

Calculated values
* ⟨S²⟩: 0.77
* orbital gap (alpha / beta): 7.5 / 5.6 eV
* LUMO level (alpha / beta): 0.02 / -1.89 eV
* HOMO (alpha / beta): -7.517 / -7.516 eV

Structure (ORCA input):
```
! RIJCOSX wB97M-V def2-TZVPD def2/J DEFGRID3
* xyz 0 2
Al 1.876 0.319 -2.023
O 3.749 -0.110 -2.528
C 4.919 0.614 -2.942
C 5.543 1.369 -1.786
C 4.498 2.104 -0.935
C 3.505 2.875 -1.763
C 3.629 4.271 -1.892
C 2.731 4.961 -2.710
C 1.744 4.278 -3.366
C 1.549 2.860 -3.158
N 2.550 2.204 -2.367
H 3.814 -1.079 -2.418
H 4.590 1.292 -3.727
H 5.615 -0.096 -3.386
H 6.272 2.068 -2.203
H 6.094 0.682 -1.139
H 4.993 2.786 -0.244
H 3.965 1.369 -0.334
H 4.416 4.776 -1.352
H 2.839 6.028 -2.861
H 1.091 4.771 -4.073
H 0.838 1.394 -4.296
O -1.094 -4.658 -3.811
C -0.328 -3.763 -3.587
C 0.868 -3.820 -2.629
O 1.290 -4.796 -2.054
C 1.357 -2.440 -2.563
C 0.627 -1.621 -3.408
O 0.910 -0.337 -3.430
C -0.406 -2.332 -4.137
O -1.171 -1.927 -4.983
O 2.296 -1.933 -1.837
C -0.981 3.412 -2.465
C 0.139 2.438 -2.250
O 1.361 2.210 -4.401
N 0.203 1.362 -1.669
Te -2.021 1.346 0.587
C -3.362 1.167 2.229
C -2.945 1.461 3.534
C -1.582 1.999 3.888
C -3.818 1.242 4.598
C -5.095 0.740 4.408
C -6.030 0.520 5.565
C -5.500 0.480 3.106
C -4.669 0.694 2.011
C -5.228 0.400 0.647
C -2.326 -0.647 -0.088
C -2.267 -1.705 0.824
C -1.869 -1.558 2.270
C -2.629 -2.986 0.405
C -3.023 -3.253 -0.895
C -3.485 -4.619 -1.314
C -3.007 -2.198 -1.803
C -2.682 -0.899 -1.429
C -2.762 0.166 -2.487
H -1.290 3.379 -3.513
H -0.650 4.427 -2.242
H -1.830 3.152 -1.835
H -0.991 2.277 3.019
H -1.011 1.256 4.453
H -1.676 2.880 4.525
H -3.482 1.471 5.605
H -5.489 0.496 6.511
H -6.572 -0.421 5.460
H -6.771 1.319 5.625
H -6.504 0.106 2.928
H -6.314 0.494 0.662
H -4.981 -0.613 0.321
H -4.834 1.083 -0.106
H -1.374 -0.610 2.470
H -1.202 -2.376 2.557
H -2.741 -1.603 2.928
H -2.610 -3.795 1.131
H -3.380 -5.337 -0.500
H -2.918 -4.981 -2.171
H -4.538 -4.592 -1.603
H -3.278 -2.386 -2.837
H -3.314 -0.202 -3.351
H -1.766 0.457 -2.821
H -3.253 1.066 -2.112
C 2.982 1.512 3.973
C 2.927 0.461 2.870
C 1.529 0.391 2.284
S 1.237 -0.598 0.822
O 2.152 0.080 -0.212
C 2.010 -2.188 1.154
C 3.518 -2.304 0.973
C 3.926 -3.771 1.064
H 3.978 1.573 4.412
H 2.278 1.279 4.775
H 2.725 2.500 3.585
H 3.215 -0.512 3.270
H 3.641 0.708 2.081
H 1.187 1.372 1.942
H 0.787 0.054 3.012
H 1.509 -2.859 0.452
H 1.672 -2.463 2.160
H 4.053 -1.707 1.708
H 3.761 -1.920 -0.015
H 3.640 -4.207 2.025
H 5.005 -3.885 0.957
H 3.447 -4.346 0.270
*
```

=====

Below is a single CClNS molecule at a distorted geometry, with properties calculated with ωB97M-V with the def2-TZVPD basis set.

Calculated values
* orbital gap (alpha / beta): 7.0 / 7.0 eV
* LUMO level (alpha / beta): -3.08 / -3.09 eV
* HOMO (alpha / beta): -10.061 / -10.052 eV

Structure (ORCA input):
```
! RIJCOSX wB97M-V def2-TZVPD def2/J DEFGRID3
* xyz 0 1
C -0.299 -1.859 -0.910
N -0.027 -0.825 -0.496
-- Here the piece continues --

Ethernet Transmitter Algorithm :

  1. When adapter (host computer) contains frame to send and if line (channel) is idle, it transmits frame immediately.
  2. The upper bound of 1500 bytes (maximum size of data or payload in Ethernet frame) within message means, that adapter can occupy line for fixed length.
  3. When adapter encompasses frame to send and if line (channel) is busy, it waits for line to go idle and transmits immediately.
  4. Ethernet is claimed to be CSMA-1 persistent protocol because adapter with frame to send, transmits with probability 1, whenever busy line goes idle.
  5. Since, Ethernet has no polarized/centralized control, it is possible for two (or more) Ethernet Adapters to start transmitting frames at identical time, either because both found path/line to be idle or both had been watching for busy line to become idle. Example – Let us assume that there are 2 host computers, connected to Ethernet cable. When both find line idle, they place their frames at identical time and this results in collision. 
    Ethernet has no centralized control when frames hit one another, and this algorithm (Ethernet transmitter algorithm) will intimate host that collision has occurred. This is the reason, why Ethernet access method is named as CSMA/CD.
  6. When both Ethernet Adapters begin transmitting frames at a time, frames tend to collide on network.
  7. Since, Ethernet supports collision detection each sender is in position to see that collision is in progress.
  8. At the instant, when adapter detects that its frame is striking another frame, it makes it obvious to transmit 32-bit jamming sequence instantly (so that, other hosts know that collision has happened) and thus, host computer stops transmission presently. 
    Note – 
    A Jamming sequence is signal sent by tool on Ethernet network to point that collision has occurred on network. The 32-bit length is required and, is long enough to traverse whole collision domain in order that all transmitting stations can detect collision).
  9. Thus, transmitter will minimally send 96 bits just in case of collision. 64-bit preamble + 32-bit jamming sequence
    Note – 
    A preamble is used for bit synchronization, in E. 8 bytes of preamble and start of frame create pattern of 64 bits.

The reason why host computer needs to send 96 bits: host computer should send 32-bit jamming sequence to point collision went on and just 32 bits is insufficient. Hence, it must append 64-bit preamble. 

C35H30Cl6IN3O3STa | the ωB97M-V functional and the def2-TZVPD basis

Last column: Löwdin charge in e.
CARTESIAN COORDINATES (ANGSTROEM)
Ta -0.542 -0.044 -0.130  1.698
C -1.514 -4.239 -1.768  0.011
C -0.894 -4.267 -0.403  -0.246
N -0.597 -5.454 0.119  0.171
C -0.086 -5.542 1.337  -0.035
C 0.158 -4.449 2.169  -0.083
C 0.737 -4.763 3.527  -0.165
O 0.547 -3.708 4.448  -0.055
C -0.123 -3.187 1.630  -0.067
C -0.058 -1.977 2.420  0.006
N -0.260 -0.760 2.014  -0.097
C -0.480 0.154 3.125  -0.371
C 0.472 0.426 4.093  -0.023
C 0.157 1.287 5.138  -0.018
C -1.102 1.863 5.227  -0.027
C -2.076 1.562 4.281  -0.094
C -1.743 0.707 3.248  -0.593
I -3.147 0.073 1.844  1.269
C -0.625 -3.120 0.329  -0.234
O -0.844 -1.888 -0.220  -0.308
H -0.792 -3.933 -2.531  0.081
H -2.368 -3.564 -1.803  0.079
H -1.846 -5.243 -2.019  0.103
H 0.124 -6.545 1.694  0.143
H 1.805 -4.975 3.394  0.148
H 0.268 -5.682 3.884  0.143
H 0.753 -4.022 5.336  0.123
H 0.095 -2.130 3.484  0.133
H 1.453 -0.028 4.038  0.113
H 0.904 1.500 5.891  0.129
H -1.340 2.529 6.045  0.129
H -3.072 1.974 4.366  0.118
Cl -5.978 1.413 -2.189  0.811
C -4.527 0.535 -2.383  -0.629
C -4.309 -0.275 -3.488  -0.010
C -3.103 -0.954 -3.570  0.003
C -2.178 -0.816 -2.558  -0.151
N -2.384 -0.029 -1.483  -0.120
C -3.547 0.639 -1.414  -0.254
H -5.065 -0.367 -4.258  0.140
H -2.881 -1.595 -4.412  0.138
H -1.240 -1.347 -2.610  0.086
H -3.727 1.274 -0.557  0.005
C -1.024 2.246 -3.512  0.035
C 0.149 2.015 -2.617  -0.298
O 0.106 1.061 -1.764  -0.324
C 1.311 2.841 -2.696  -0.145
C 1.390 3.868 -3.659  0.023
C 2.504 4.675 -3.721  -0.015
C 3.550 4.479 -2.822  0.010
C 3.489 3.469 -1.862  -0.018
C 2.384 2.651 -1.801  0.009
H -1.851 1.596 -3.268  0.057
H -0.732 2.072 -4.551  0.127
H -1.347 3.286 -3.444  0.119
H 0.584 4.033 -4.361  0.125
H 2.567 5.458 -4.464  0.130
H 4.423 5.117 -2.872  0.133
H 4.313 3.327 -1.175  0.125
H 2.339 1.860 -1.067  0.069
C 1.528 -1.429 -2.703  -0.281
S 1.834 -0.863 -1.014  0.823
C 2.411 -2.440 -0.350  -0.299
H 2.489 -1.759 -3.094  0.076
H 1.168 -0.598 -3.306  0.048
H 0.826 -2.261 -2.714  0.037
H 1.756 -3.255 -0.644  0.055
H 2.475 -2.369 0.731  0.023
H 3.408 -2.599 -0.759  0.077
Cl -1.612 2.666 0.028  0.779
C -0.092 2.702 0.891  -0.652
C 0.627 1.517 0.878  -0.377
C 1.856 1.580 1.546  -0.690
Cl 2.887 0.190 1.619  0.756
C 2.309 2.738 2.174  -0.703
Cl 3.819 2.760 2.968  0.772
C 1.516 3.893 2.173  -0.689
Cl 2.042 5.303 2.959  0.799
C 0.287 3.880 1.516  -0.701
Cl -0.714 5.257 1.473  0.784

E_LUMO	-0.3674	hartree
orbital gap	0.2361	hartree
charge	+3

***

C55H79BN7O2RbS3 | the ωB97M-V functional and the def2-TZVPD basis

Last column: Löwdin charge in e.
CARTESIAN COORDINATES (ANGSTROEM)
Rb 1.929 0.417 0.259  0.837
C -1.510 -2.680 1.967  -0.049
C -1.539 -2.735 0.476  -0.248
C -2.674 -2.986 -0.207  0.041
C -2.686 -2.959 -1.632  -0.208
N -1.642 -2.579 -2.293  0.178
N -0.491 -2.311 -1.620  0.058
B 0.515 -1.561 -2.492  -0.655
N 0.141 -0.086 -2.773  0.148
N -0.061 -0.958 -3.784  0.201
C -0.317 -0.654 -5.012  -0.127
**The article goes on:**

Runt Frame : 
We know that Ethernet will not create any frame that is less than minimum length of 64 bytes. It can be seen that runt frames are commonly caused by collisions. When 2 frames collide, it leads to collision, giving rise to “Runt frame”. 

The other causes of runt frames are :

  1. Malfunctioning of network card / NIC card.
  2. Buffer under-run (It is state occurring when buffer is accustomed to communicating between two devices or processes is fed with data at slower speed than data/information that is being read from it).
  3. Duplex Mismatch (one side of line is running in half duplex mode & other side in fully duplex mode) / software issues.

Ethernet Transmitter Algorithm – Worst Case Scenarios :


  1. ‘A’ (host computer) sends frame at time ‘t1’.
  2. A’s frame arrives at ‘B’ (destination computer) at time ‘t1+d1’. (‘d1’ : delay in transmission or propagation).
  3. ‘B’ begins transmitting at time ‘t1+d1’ and collides with A’s frame.
  4. ‘B’ runt frames (32 bit) arrives at A, at time ‘t1+2d1’.

Let us assume that there are 200 bits in frame and, all bits are transmitted and received by ‘B’, except last bit. Time at which last bit is received by ‘B’, is same time at which ‘B’ begins its transmission. Because of this, single bit collision occurs. Here, when ‘B’ begins transmission at ‘t1+d1’, frame from ‘A’, arrives at ‘B’ at the same time i.e ‘t1+d1’. Hence, both frames become unusable. This frame becomes runt frame. Time at which ‘B’ starts transmitting frames is ‘t1+d1’, and therefore time at which frames reach ‘A’ is ‘t1+d1+d1’ = ‘t1+2d1’. 

Exponential Back-off :

Molecular data that have nothing to do with the entry
<<<
C3HNO3S | ωB97M-V with the def2-TZVPD basis set

ORCA input file:
```
! RIJCOSX wB97M-V def2-TZVPD def2/J DEFGRID3
* xyz -2 1
C 0.99 -0.73 0.67
C 2.10 -0.55 0.11
C -1.24 -0.43 -0.11
N -0.82 0.84 -0.23
O 3.27 -0.14 0.08
O -2.35 -0.90 -0.36
O -0.30 -1.27 0.41
S -1.67 2.28 -0.82
H 0.03 0.90 0.25
*
```

Computed properties:
HOMO ... 0.60 eV
Structure (SMILES) ... O=C(N[S-])OC#C[O-]
Energy relative to the best compared isomer or geometry (same formula, charge and spin) ... 225.3 kJ/mol

=====

C26H53Br10ClN3O3P | ωB97M-V with the def2-TZVPD basis set

ORCA input file:
```
! RIJCOSX wB97M-V def2-TZVPD def2/J DEFGRID3
* xyz -2 1
C -3.25 2.24 2.62
C -2.81 1.22 2.13
C -2.07 0.05 1.44
P -0.55 0.38 0.31
C -0.88 2.27 0.14
C -0.31 3.29 1.17
N 1.08 3.85 0.87
C -0.17 -1.49 0.10
C -1.25 -2.56 0.52
C -0.92 -4.03 -0.03
C 0.58 -4.36 -0.27
N 1.39 -4.48 1.00
C 0.70 0.59 1.77
C 0.21 0.63 3.25
O 0.03 -0.69 3.86
C 1.50 1.17 4.07
N 1.11 1.64 5.44
C -1.74 0.18 -1.21
O -2.42 1.11 -1.77
O -1.98 -0.98 -1.90
C 1.02 0.75 -0.84
Cl 0.64 0.73 -2.68
C 2.31 -0.14 -0.71
C 3.42 0.55 -1.67
H -3.93 3.07 2.93
H -2.89 -0.36 0.76
H -1.96 -0.70 2.27
H -0.54 2.64 -0.88
H -1.97 2.56 0.08
H -0.38 3.07 2.26
H -0.93 4.25 1.07
H 1.55 4.01 1.76
H 0.99 4.72 0.34
H 0.14 -1.79 -0.95
H 0.72 -1.87 0.70
H -2.29 -2.37 0.19
H -1.20 -2.66 1.65
H -1.57 -4.21 -0.95
H -1.29 -4.75 0.78
H 0.63 -5.40 -0.73
H 1.09 -3.69 -1.01
H 2.07 -5.24 0.82
H 1.93 -3.61 1.10
H 1.40 -0.30 1.89
H 1.50 1.37 1.57
H -0.57 1.37 3.56
H -0.82 -0.64 4.32
H 2.32 0.40 4.07
H 1.92 2.08 3.54
H 0.13 1.42 5.62
H 1.72 1.15 6.11
H 1.44 1.79 -0.68
H 2.85 -0.16 0.27
H 2.26 -1.18 -1.15
H 3.38 1.67 -1.60
H 4.44 0.25 -1.25
H 3.39 0.14 -2.71
Br -5.92 3.73 2.54
C -7.00 5.30 2.93
C -6.17 6.56 2.88
Br -5.07 6.76 4.47
H -7.46 5.14 3.90
H -7.77 5.32 2.16
H -6.82 7.44 2.86
H -5.50 6.60 2.02
Br 3.76 4.46 -6.31
C 4.88 2.92 -5.85
C 4.20 1.62 -6.20
Br 2.82 1.17 -4.90
H 5.11 3.01 -4.79
H 5.79 3.05 -6.43
H 4.91 0.80 -6.16
H 3.72 1.64 -7.18
Br 5.41 7.30 -2.55
C 6.51 5.78 -2.02
C 5.86 4.48 -2.40
Br 4.41 4.02 -1.19
H 6.68 5.88 -0.95
H 7.45 5.92 -2.55
H 6.58 3.66 -2.31
H 5.45 4.48 -3.41
Br -0.02 -9.42 -3.33
C -1.15 -7.90 -2.86
C -1.00 -6.77 -3.85
Br 0.65 -5.79 -3.55
H -0.90 -7.61 -1.84
H -2.17 -8.29 -2.88
H -1.79 -6.04 -3.72
H -0.99 -7.11 -4.89
Br -2.63 -7.15 2.16
C -4.46 -6.51 2.31
C -4.72 -5.36 1.37
Br -3.96 -3.70 2.04
H -4.62 -6.25 3.36
H -5.08 -7.37 2.05
H -5.79 -5.17 1.29
H -4.31 -5.52 0.37
*
```

Computed properties:
HOMO ... 0.05 eV

=====

CF3N3 | ωB97M-V with the def2-TZVPD basis set

ORCA input file:
```
! RIJCOSX wB97M-V def2-TZVPD def2/J DEFGRID3
* xyz 0 3
C 1.24 -0.17 0.75
N -1.29 1.44 -0.41
N 1.23 0.90 1.13
N -1.14 0.34 -0.60
F 1.28 -1.37 0.45
F 0.12 -0.36 -1.37
F -1.44 -0.77 0.05
*
```

Computed properties:
HOMO (spin up / spin down) ... -9.37 / -12.47 eV
Energy relative to the best compared isomer or geometry (same formula, charge and spin) ... 0.0 kJ/mol
Expectation value of S² ... 2.016

=====
>>>
The molecular data stop here

  • Exponential Back-off is technique utilized by Ethernet to cut back probability of collision.
  • Once Ethernet Adapter detect collision and stops, it’s transmission/conveyance, it waits for certain amount of time.
  • After looking ahead to certain amount of time, Ethernet Adapter tries transmitting again. If Ethernet algorithm still finds channel busy, it doubles waiting time before trying again. If node waited for 1 second initially, it would then wait for 2 seconds, then 4 seconds, then 8 seconds, until channel goes idle.
  • When channel is finally idle, Ethernet Adapter places frame in channel.
  • This strategy of multiplying delay interval by two times between each re-conveyance attempt is ‘Exponential Back-off’.